What Will Change: Rafi Youatt on Border Politics and Ecology

_Between two parts of the text: records of crystals_
=====
AlTeI2F: optimized geometry, PBE.

## Properties
Offset from the most stable computed form   20 meV/atom

a = 5.4482 Å, b = 5.4482 Å, c = 5.3782 Å
α = 90.00°, β = 90.00°, γ = 90.00°
Space group P4/mmm (No. 123)
Unique sites:
Al1 0.0000 0.0000 0.0000 [1 per cell]
Te1 0.0000 0.0000 0.5000 [1 per cell]
I1 0.0000 0.5000 0.0000 [2 per cell]
F1 0.5000 0.5000 0.5000 [1 per cell]

=====

AlTe2IF: optimized geometry, PBE.

## Properties
Offset from the most stable computed form   0 meV/atom

a = 4.6820 Å, b = 4.6820 Å, c = 6.9781 Å
α = 90.00°, β = 90.00°, γ = 90.00°
Space group P4/mmm (No. 123)
Unique sites:
Al1 0.0000 0.0000 0.0000 [1 per cell]
Te1 0.0000 0.5000 0.5000 [2 per cell]
I1 0.5000 0.5000 0.0000 [1 per cell]
F1 0.5000 0.5000 0.5000 [1 per cell]

=====

AlTl2IF: optimized geometry, PBE.

a = 6.1233 Å, b = 6.1233 Å, c = 4.0453 Å
α = 90.00°, β = 90.00°, γ = 90.00°
Space group P4/mmm (No. 123)
Unique sites:
Al1 0.0000 0.0000 0.0000 [1 per cell]
Tl1 0.0000 0.5000 0.5000 [2 per cell]
I1 0.5000 0.5000 0.0000 [1 per cell]
F1 0.0000 0.0000 0.5000 [1 per cell]

=====

Al2InF6: optimized geometry, PBE.

a = 13.8116 Å, b = 8.7325 Å, c = 5.4701 Å
α = 90.00°, β = 106.01°, γ = 90.00°
Space group C2/c (No. 15)
Unique sites:
Al1 0.2131 0.0942 0.4768 [8 per cell]
In1 0.0000 0.4435 0.2500 [4 per cell]
F1 0.1442 0.0020 0.6812 [8 per cell]
F2 0.1840 0.4819 0.9447 [8 per cell]
F3 0.2494 0.2490 0.2921 [8 per cell]

=====

AlIn2F6: optimized geometry, PBE.

a = 9.8271 Å, b = 16.1028 Å, c = 4.4858 Å
α = 90.00°, β = 105.14°, γ = 90.00°
Space group C2/c (No. 15)
Unique sites:
Al1 0.0000 0.1975 0.2500 [4 per cell]
In1 0.1582 0.4092 0.7946 [8 per cell]
F1 0.1012 0.2579 0.5310 [8 per cell]
F2 0.1080 0.1351 0.1011 [8 per cell]
F3 0.1986 0.4466 0.3318 [8 per cell]

=====

Al2InF8: optimized geometry, PBE.

a = 9.8110 Å, b = 5.8055 Å, c = 5.2183 Å
α = 90.00°, β = 96.03°, γ = 90.00°
Space group C2/m (No. 12)
Unique sites:
Al1 0.2251 0.0000 0.4910 [4 per cell]
In1 0.0000 0.5000 0.0000 [2 per cell]
F1 0.1165 0.0000 0.7267 [4 per cell]
F2 0.1492 0.2788 0.3456 [8 per cell]
F3 0.1779 0.5000 0.7811 [4 per cell]

=====

AlIn2F5: optimized geometry, PBE.

## Properties
Offset from the most stable computed form   0 meV/atom

a = 13.7655 Å, b = 5.3530 Å, c = 7.2774 Å
α = 90.00°, β = 95.31°, γ = 90.00°
Space group C2/c (No. 15)
Unique sites:
Al1 0.0000 0.0000 0.0000 [4 per cell]
In1 0.1667 0.4815 0.3310 [8 per cell]
F1 0.0000 0.1022 0.2500 [4 per cell]
F2 0.0644 0.2865 0.5701 [8 per cell]
F3 0.1160 0.1563 0.9866 [8 per cell]

=====

AlIn2F2: optimized geometry, PBE.

## Properties
Offset from the most stable computed form   190 meV/atom

a = 7.7890 Å, b = 7.7890 Å, c = 2.9982 Å
α = 90.00°, β = 90.00°, γ = 90.00°
Space group P4/mbm (No. 127)
Unique sites:
Al1 0.0000 0.0000 0.0000 [2 per cell]
In1 0.1631 0.3369 0.5000 [4 per cell]
F1 0.1161 0.6161 0.0000 [4 per cell]

=====

no.,E_form (uncorrected) (kJ per mole of atoms),magnetic moment (μB/f.u.)
1,-5.2,1.1
2,-0.5,0.0
3,-62.9,0.0
=====
what-will-change-solid-colorThe next four years will prove to be unprecedented in the roll-back and dismantling of environmental protections. In our new series, What Will Change, Tishman Center Affiliated Faculty reflect on the environmental and social justice impacts of the election results from the perspectives of their research, practice, and passion.
Between two parts of the entry: data records
<<<
# 1
Compound: Nd3Y2In4
Source: the Alexandria database
Functional: PBE
Structure: optimized geometry

Computed properties:
energy relative to the lowest polymorph listed for this composition	0.177	eV/atom
magnetization	0.000	μB/atom
energy of formation	-0.251	eV per atom
crystal system	orthorhombic

Lattice parameters (Å, degrees): 7.2279 9.9951 8.5877 90.00 114.89 90.00
With the nearest neighbours (Å) after each atom.
Positions (direct):
Y: 0.6048 0.9596 0.2096  3 In 3.15-3.29, 1 Y 3.36
In: 0.8037 0.0169 0.6074  5 Nd 3.06-3.25, 1 Y 3.15
Nd: 0.4739 0.2500 0.4478  5 In 3.20-3.34
In: 0.2593 0.2500 0.0186  3 Nd 3.09-3.34, 2 Y 3.29
Nd: 0.9739 0.2500 0.4478  5 In 3.20-3.34
Y: 0.3952 0.0404 0.7904  3 In 3.15-3.29, 1 Y 3.36
In: 0.3037 0.4831 0.6074  5 Nd 3.06-3.25, 1 Y 3.15
Nd: 0.5261 0.7500 0.5522  5 In 3.20-3.34
Nd: 0.0261 0.7500 0.5522  5 In 3.20-3.34
In: 0.7593 0.2500 0.0186  3 Nd 3.09-3.34, 2 Y 3.29
In: 0.2407 0.7500 0.9814  3 Nd 3.09-3.34, 2 Y 3.29
Nd: 0.5000 0.5000 0.0000  6 In 3.06-3.09
Nd: 0.0000 0.0000 0.0000  6 In 3.06-3.09
Y: 0.1048 0.5404 0.2096  3 In 3.15-3.29, 1 Y 3.36
In: 0.1963 0.9831 0.3926  5 Nd 3.06-3.25, 1 Y 3.15
In: 0.7407 0.7500 0.9814  3 Nd 3.09-3.34, 2 Y 3.29
Y: 0.8952 0.4596 0.7904  3 In 3.15-3.29, 1 Y 3.36
In: 0.6963 0.5169 0.3926  5 Nd 3.06-3.25, 1 Y 3.15

---

# 2
Compound: PuAl2GaAu4
Source: the Alexandria database
Functional: PBE
Structure: optimized geometry

Computed properties:
magnetization	0.668	μB/atom
energy of formation	-0.342	eV per atom
crystal system	trigonal

Lattice parameters (Å, degrees): 4.3831 4.3831 9.7235 76.97 76.97 60.00
With the nearest neighbours (Å) after each atom.
Positions (direct):
Au: 0.6042 0.6042 0.1875  3 Al 2.62
Au: 0.3958 0.3958 0.8125  3 Al 2.62
Pu: 0.0000 0.0000 0.0000  6 Au 3.08
Au: 0.1269 0.1269 0.6193  3 Ga 2.77, 3 Al 2.77
Al: 0.7532 0.7532 0.7405  6 Au 2.62-2.77
Al: 0.2468 0.2468 0.2595  6 Au 2.62-2.77
Ga: 0.5000 0.5000 0.5000  8 Au 2.77-2.93
Au: 0.8731 0.8731 0.3807  3 Ga 2.77, 3 Al 2.77

---

# 3
Compound: YAlCr
Source: the Alexandria database
Functional: PBE
Structure: optimized geometry

Computed properties:
magnetization	0.904	μB/atom
energy of formation	0.061	eV per atom
crystal system	tetragonal

Lattice parameters (Å, degrees): 6.0334 6.0337 6.0337 148.52 148.51 45.13
With the nearest neighbours (Å) after each atom.
Positions (direct):
Cr: 0.3545 0.3547 0.9998  4 Al 2.66
Al: 0.9715 0.9716 0.0000  4 Cr 2.66
Y: 0.6739 0.6737 0.0003  4 Cr 3.07, 5 Al 3.23-3.32, 4 Y 3.27

~~~~~

No. 1
DFT (PBE-GGA) results for a geometry-optimized FeAs2SeBr structure.

The space group is P4/mmm (No. 123) and the conventional cell measures 5.0599, 5.0599 and 5.1342 Å, with angles of 90.00, 90.00 and 90.00 degrees. The inequivalent atoms are Fe at (0.0000, 0.0000, 0.0000), As at (0.0000, 0.5000, 0.5000), Se at (0.5000, 0.5000, 0.0000) and Br at (0.5000, 0.5000, 0.5000).

The calculated volume comes out at 131.4 Å³/f.u. As for the polymorph energy (0 for the lowest one): 1117 meV/atom.



No. 2
>>>
The entry goes on

By Rafi Youatt

I study the ways that ecological regimes intersect political life in international relations. Donald Trump’s looming presidency raises many deep concerns in this area, particularly over climate change. He has vowed to undo the hard fought consensus of the Paris Accords, which just came into force this year, while doubling down on fossil fuel extraction. His current pick to lead the EPA transition, a prominent climate change skeptic, and his plans to scrap the Clean Power Act only heighten those concerns. Coal will be embraced, though fracking and natural gas will continue to rise. Struggles against pipelines are unlikely to be heard sympathetically. And there will be significant reverberations in other countries tackling climate change as well, particularly in China and India. These climate change issues alone are cause for grave concern.His presidency also raises a deeper political specter, involving the intersection of border politics, environmental issues, and the question of which lives are worthy. As is well known, Trump has frequently talked up building a Wall along the US-Mexico border, adding to the hundreds of miles of fencing and barriers that have already been built. By most accounts, Trump’s wall would be both a disaster for border communities and migrants, and a conservation disaster for wildlife, putting dozens of species at risk by slashing through communities and multispecies habitats.But what is even more troubling is the deeper way that Trumpist political rhetoric (going well beyond Trump himself) grounds these policies. It links “unacceptable” humans to degraded animality, and holds nonhuman life – animal, ecosystemic, planetary – in a deep contempt, in ways that permit that negative linkage to be made in the first place. In August, for example, he spoke against letting immigrants from the Phillippines and other countries into the US, calling them “animals” from “terrorist nations.” In March, he compared immigrants to “venomous snakes.” The list could go on. For Trump, animal life is disposable and insidious, even (and especially) when it is biologically human. In many ways, Trump reasserts disconcertingly familiar forms of hierarchy that raise up the worthiness of only some kinds of life, using American nationalism, misogyny, and Islamophobia as its cleaver. But he is doing so on the back of a familiar kind of political humanism that operates by claiming dominance over and excluding animality, both nonhuman animals and animalized humans.This contempt for nonhuman life, and its association with ostensibly unworthy forms of human life, undergirds his political rhetoric and policy orientations on borders as well on climate change, ecological sustainability, and environmental justice. It will take concrete form in the days to come in decisions about deportation, border walls, climate change, and environmental protection.As scholars, students, and publics, we can act to push back in a number of ways. We can pay greater attention to the life in the borderlands themselves, where we can actively amplify the possibilities for a counter-political imaginary. Border communities, who have lived across the border for many years, continue to exemplify a way of life that is cross-border. Art installations along the border wall continue to show us ways to think about an active border that need not mean a closed community. And new interspecies imaginaries, linking migrant rights and wildlife corridors, and pointing to endangered lives both human and nonhuman, push towards a new politics where environmentalists and social justice advocates work together, both within the United States and transnationally. It is not enough, but it is a start.Rafi Youatt is an Assistant Professor of Politics at The New School for Social Research.